BoxNutra Single-Ingredient Creatine: A Revolução na Suplementação de Creatina
A BoxNutra apresenta sua creatina monohidratada em pó, um produto de alta qualidade que promete transformar a sua rotina de treinos e potencializar seus resultados. Este suplemento é especialmente formulado para aumentar o desempenho muscular durante exercícios de resistência de alta intensidade e curta duração. Se você é um atleta ou simplesmente um entusiasta do fitness, a creatina da BoxNutra é uma adição valiosa ao seu regime de treinamento, especialmente para aqueles que levantam pesos ou praticam ciclismo.
Além de promover o crescimento muscular, a creatina também desempenha um papel crucial na saúde óssea e articular. Ela estimula a atividade das células responsáveis pela formação dos ossos, contribuindo para um esqueleto mais forte. Os benefícios da creatina para os músculos também se estendem à saúde das articulações, proporcionando um suporte adicional durante atividades físicas intensas.
A BoxNutra se destaca por sua certificação cGMP (Current Good Manufacturing Practice), que garante que todos os processos de fabricação e as instalações utilizadas na produção da creatina sejam rigorosamente monitorados e controlados. Isso assegura que você está consumindo um produto de qualidade superior, desenvolvido tanto para homens quanto para mulheres.
– Aumento de Performance Muscular: Melhora significativa na força e resistência durante treinos intensos.
– Saúde Óssea e Articular: Fortalece ossos e articulações, reduzindo o risco de lesões.
– Qualidade Garantida: Produto fabricado em instalações certificadas cGMP, assegurando pureza e eficácia.
– Versatilidade de Uso: Ideal para atletas de diversas modalidades, incluindo musculação e ciclismo.
– Apoio à Saúde Geral: Contribui para a saúde do sistema imunológico, pele, cabelo e memória.
Para obter os melhores resultados com a creatina BoxNutra, recomenda-se a ingestão de 5 gramas (uma colher medida) diariamente, preferencialmente após o treino, misturada em água ou em sua bebida favorita. É aconselhável consultar um profissional de saúde antes de iniciar a suplementação, especialmente se você tiver condições de saúde preexistentes ou estiver grávida ou amamentando. Mantenha o produto fora do alcance de crianças e armazene em local fresco e seco.
Travis –
This is my go to brand for creatine! It doesn’t have a flavor so I can mix it with anything, and it dissolves like a charm. Great product that I’ll continue to use. Love that they’re finally available on Amazon now too!
Ian Moran –
I ran out of the creatine I normally take and have been taking this for a month now. I’m still getting the same gains as I was, and it’s got double the amount of servings per container as what I was buying for the same price before. Definitely can’t beat it!
Travis –
I was surprised to see a bag inside the product bag. I would rather have the creatine inside the main bag so I don’t need to open two bags to reach the product. The internal bag is thinner so I worry it will puncture easily. The other thing I noticed is there was no scoop included. I realize the recommended 5g dose is a weight however they do convert it to about 2 tsp. I with they would have thrown in a 2 tsp scoop so I don’t need to dirty a teaspoon every time I use it. The creatine does dissolve well in water and has no taste but I wish the packaging was better.
Bianca Melendez –
I love that this bag of creatinine monohydrate is literally only that. No added fillers! To me, this is high quality!
The outside bag is very large for the much smaller bag inside of powder. This was strange to me and I ended up repackaging it into a jar.
Attached: crystal structures =
'''
No. 1
Tb4Tl2InRh | Alexandria via LeMat-Bulk | PBE | optimized geometry; ΔE_f = -0.462 eV/atom; total energy = -37.0 eV per formula unit
1.0
-1.254 4.510 -2.464
1.463 0.763 -5.026
-7.198 -1.707 -5.139
Tb Tl In Rh
4 2 1 1
Direct
0.386 0.386 0.841 Tb
0.132 0.132 0.604 Tb
0.614 0.614 0.159 Tb
0.868 0.868 0.396 Tb
0.256 0.256 0.232 Tl
0.744 0.744 0.768 Tl
0.000 0.000 0.000 In
0.500 0.500 0.500 Rh

***

No. 2
NaCa3Pb | Alexandria via LeMat-Bulk | PBE | optimized geometry; ΔE_f = -0.090 eV/atom; total energy = -11.5 eV per formula unit; energy relative to the lowest polymorph listed for this composition = 0.000 eV/atom
1.0
6.114 0.000 0.000
0.000 6.114 0.000
0.000 0.000 6.114
Ca Na Pb
3 1 1
Direct
0.000 0.000 0.500 Ca
0.500 0.000 0.000 Ca
0.000 0.500 0.000 Ca
0.500 0.500 0.500 Na
0.000 0.000 0.000 Pb

=====

{"formula": "AcLuAl4", "functional": "GGA-PBE", "state": "optimized geometry", "e_form_ev_per_fu": -2.11, "spacegroup": "F-43m, No. 216", "dft_energy_ev_per_atom": -4.284, "rho_g_cm3": 6.4, "lattice_angstrom": [[-5.513, -0.268, 1.513], [-1.427, -1.152, 5.421], [-2.265, 4.095, 3.295]], "species": ["Ac", "Al", "Al", "Lu", "Al", "Al"], "fractional_positions": [[0.250, 0.250, 0.250], [0.625, 0.625, 0.625], [0.625, 0.625, 0.124], [0.000, 0.000, 0.000], [0.124, 0.625, 0.625], [0.625, 0.124, 0.625]]}

***

{"formula": "BeRe2Au", "functional": "GGA-PBE", "state": "optimized geometry", "e_form_ev_per_fu": 2.65, "spacegroup": "I-42d, No. 122", "dft_energy_ev_per_atom": -7.313, "rho_g_cm3": 15.3, "lattice_angstrom": [[-1.089, 0.040, -3.495], [2.900, -2.032, -0.927], [-4.099, -8.810, -0.742]], "species": ["Au", "Re", "Re", "Re", "Re", "Au", "Be", "Be"], "fractional_positions": [[0.750, 0.250, 0.500], [0.589, 0.125, 0.250], [0.875, 0.839, 0.750], [0.375, 0.411, 0.750], [0.161, 0.625, 0.250], [0.000, 0.000, 0.000], [0.500, 0.500, 0.000], [0.250, 0.750, 0.500]]}

***

{"formula": "Pm3Cu8Pt", "functional": "GGA-PBE", "state": "optimized geometry", "e_form_ev_per_fu": -2.62, "spacegroup": "R3m, No. 160", "dft_energy_ev_per_atom": -4.640, "rho_g_cm3": 9.5, "lattice_angstrom": [[5.168, 0.000, 0.000], [2.584, 4.475, 0.000], [2.584, 1.492, 8.637]], "species": ["Pt", "Cu", "Cu", "Cu", "Cu", "Pm", "Pm", "Pm", "Cu", "Cu", "Cu", "Cu"], "fractional_positions": [[0.870, 0.870, 0.390], [0.432, 0.944, 0.192], [0.939, 0.939, 0.680], [0.944, 0.432, 0.192], [0.188, 0.188, 0.436], [0.509, 0.509, 0.473], [0.988, 0.988, 0.036], [0.380, 0.380, 0.861], [0.939, 0.442, 0.680], [0.687, 0.687, 0.939], [0.442, 0.939, 0.680], [0.432, 0.432, 0.192]]}

***
'''
End of the crystal structures =
It mixes in well into my smoothies and is tasteless. The texture is grainy, but I can’t tell the texture after my blender has done its mixing.
Overall, I really like this creatinine and recommend it.
Sleewok –
This creatine powder is what I would expect. It mixes and dissolves with little settling at the bottom. It will last you a LONG time. Their products are cGMP which is the best you can get for manufacturing products in the USA. I was unable to find any information regarding third-party testing.
Box Nutra has a website where you can find additional information regarding their products.
How I rate supplements
Testing and manufacturing is critical for supplements to ensure you are getting what is in the bottle. I deduct a star for each of the following:
– No (current) cGMP manufacturing. GMP is good but current is the best and products should be rewarded for using it.
– Lack of third-party testing
* I exclude extracts and pure ingredient supplements from common foods
RunningMom –
Getting the 200 servings for a little over $30 is great value for creatine. The creatine itself is flour like and the “creatine taste” was particularly strong. I’d recommend putting it in something that’ll mask the taste like milk or a smoothie. The Sheer amount you get will leave you set for a long time with negligible costs.
$0.15 per 5g serving and strong taste.
Stephanie Baldini –
This stuff is awesome! I don’t know why I buy overpriced creatine from supplement companies when you can buy it in bulk from professional companies like this one. Great price, will buy again!
Zeke –
I’ve been using BoxNutra Creatine Monohydrate for a few days now, and I’m really impressed with the results. It mixes easily in my post-workout shake and has no noticeable taste. I appreciate that it’s a straightforward, high-quality product without unnecessary additives. If you’re looking to enhance your performance and muscle growth, I highly recommend giving this creatine a try!